View Full Version : SG application conflict

06-29-2002, 10:35 AM
As per Jimwh`s instruction,

Grab the other applicator and do the same thing (Clap the applicator pad in your hands a few times to get rid of any loose fibers and trim any loose threads.) DO NOT WET IT! Put it aside and shake, shake, shake the Sealant Glaze (SG). Pour about a dime sized drop on to the pad. Start at the trunk lid again and in the direction of airflow apply from one side of the car to the other side.

But from CMA`s Klasse instruction`s

High Gloss Sealant applies the same as All-In-One. Dampen a terry face cloth or microfiber applicator pad with water and wring out the excess. (Applicator should be damp, not wet.) Add a small amount of High Gloss Sealant Glaze (about the size of a nickel) to the applicator pad and apply with large oval motions. Go over each area a few times.

Eeerrr, which one is the right one?

06-29-2002, 10:49 AM
With Zaino I like to use their QD as a lube/moisturizer but SG is so thin and wet you really don’t need anything like that.


06-29-2002, 11:21 AM
Not to further a potential conflict but to add my own experience, I dampen both the applicators for AIO and SG. I had since last year used the AIO app dampened and the SG dry but I never really cared for the way the dry MF app, (less the SG) did not flow or glide easily over the paint. It seems to me, (aka IMO) that you use less product with the SG app damp and get better control over how much you apply in terms of thickness and the amount put down. The SG removal seemed easier as well when the app was damp. I`ve tried it both ways and prefer both app pads damp. I don`t think it negated the SG coverage and that after the first layer, if you do more than one, you should be getting complete coverage by the second and third etc...

P.S. Try it both ways yourself and see what you think:)

06-29-2002, 02:18 PM
I do it with a dry mf app, but I use more SG at the start so that there is a certain level of SG in the applicator. Once the app is loaded up a bit you won`t need to add as much when changing panels.



**Data records that have nothing to do with the text**
┌──
Material: K2RbCrO4
Method: DFT, PBE with a Hubbard U
State: relaxed

```
8
Lattice="-2.455 4.176 4.285 -5.472 -3.304 -0.990 4.878 -2.800 1.180" Properties=species:S:1:pos:R:3 pbc="T T T"
K -0.723 0.786 3.700
K -2.231 -2.954 1.063
Rb 0.010 -0.025 0.030
Cr 0.904 -2.335 2.794
O -0.644 -1.575 2.602
O -4.227 -1.248 1.459
O -3.292 1.070 3.094
O 1.976 -1.864 1.513
```

As for the size of the total moment: 0.125 μB per atom. The space group is No. 42. The value obtained for the final energy is -5.43 eV/atom.

----------

(1)
6
Lattice="3.184 0.000 0.000 -1.591 5.100 0.000 -0.014 -2.029 6.071" Properties=species:S:1:pos:R:3 comment="ScMo4W (PBE-GGA, optimized geometry)" n_ef_per_ev_fu=3.63 formation_energy_ev_per_atom=-0.001 e_above_lowest_polymorph_mev_per_atom=0 volume_a3_per_cell=98.6 dft_energy_ry_per_atom=-0.7670 pbc="T T T"
Sc 0.000 0.000 0.000
Mo -0.010 2.005 3.989
Mo -0.001 2.995 1.031
Mo 1.580 0.076 5.040
Mo 1.590 1.066 2.082
W -0.007 -1.015 3.035

(2)
4
Lattice="3.183 0.000 0.000 0.000 4.504 0.000 0.000 0.000 4.663" Properties=species:S:1:pos:R:3 comment="ScMo2W (PBE-GGA, optimized geometry)" n_ef_per_ev_fu=4.79 formation_energy_ev_per_atom=0.207 e_above_lowest_polymorph_mev_per_atom=141 volume_a3_per_cell=66.9 dft_energy_ry_per_atom=-0.7372 pbc="T T T"
Sc 0.000 0.000 0.000
Mo 0.000 2.252 2.331
Mo 1.592 2.252 0.000
W 1.592 0.000 2.331

(3)
4
Lattice="2.702 0.000 0.000 0.000 4.737 0.000 0.000 0.000 5.334" Properties=species:S:1:pos:R:3 comment="ScMo2W (PBE-GGA, optimized geometry)" n_ef_per_ev_fu=3.33 formation_energy_ev_per_atom=0.299 e_above_lowest_polymorph_mev_per_atom=233 volume_a3_per_cell=68.3 dft_energy_ry_per_atom=-0.7304 pbc="T T T"
Sc 0.000 0.000 0.000
Mo 0.000 0.000 2.656
Mo 1.351 2.369 4.034
W 1.351 2.369 1.354

(4)
4
Lattice="3.173 0.000 0.000 0.000 3.173 0.000 0.000 0.000 6.829" Properties=species:S:1:pos:R:3 comment="ScMo2W (PBE-GGA, optimized geometry)" n_ef_per_ev_fu=4.05 formation_energy_ev_per_atom=0.131 e_above_lowest_polymorph_mev_per_atom=65 volume_a3_per_cell=68.7 dft_energy_ry_per_atom=-0.7427 pbc="T T T"
Sc 0.000 0.000 0.000
Mo 0.000 0.000 3.421
Mo 1.586 1.586 4.939
W 1.586 1.586 1.895

(5)
10
Lattice="3.183 0.000 0.000 0.000 3.183 0.000 0.000 0.000 16.193" Properties=species:S:1:pos:R:3 comment="ScMo5W4 (PBE-GGA, optimized geometry)" n_ef_per_ev_fu=5.91 formation_energy_ev_per_atom=0.007 volume_a3_per_cell=164.0 dft_energy_ry_per_atom=-0.8249 pbc="T T T"
Sc 0.000 0.000 0.000
Mo 1.591 1.591 1.832
Mo 1.591 1.591 4.947
Mo 1.591 1.591 8.096
Mo 1.591 1.591 11.246
Mo 1.591 1.591 14.361
W 0.000 0.000 3.307
W 0.000 0.000 6.502
W 0.000 0.000 9.690
W 0.000 0.000 12.886

(6)
5
Lattice="4.543 0.000 0.000 0.000 4.543 0.000 0.000 0.000 4.543" Properties=species:S:1:pos:R:3 comment="ScMoW3 (PBE-GGA, optimized geometry)" n_ef_per_ev_fu=6.41 formation_energy_ev_per_atom=2.487 e_above_lowest_polymorph_mev_per_atom=826 volume_a3_per_cell=93.8 dft_energy_ry_per_atom=-0.6407 pbc="T T T"
Sc 0.000 0.000 0.000
Mo 2.272 2.272 2.272
└──

06-30-2002, 03:17 AM
I did a ton of reading on this a while ago before deciding what I`d do. Quite a few people do it dry, and quite a few do it damp. I finally decided on damp, since I wanted to thin out the product and spread it easier. Also I wasn`t too thrilled with the idea of priming the app with SG till it got loaded.

I tried QD for my 1st two coats, but now settled on only water for 2 reasons. First, it doesn`t cost anything and works just as well. Second, I didn`t want to confuse dried QD residue with dried SG residue. Now once everything`s dried, I can look at any haze or residue and know 100% that it`s SG.

I use a foam hand applicator and make sure I squeeze all the water I can out of it with my fist (insert grunting noises here). Too much dampness leaves behind streaks of mixed water/SG that you have to spread out, otherwise it dries and becomes a curse to buff off. I re-wet it once in a while when it gets dry to the touch. This seems to work well and allows incredibly thin (but invisible) coats, but I`m going to try applying more per area tomorrow since I think I`m being a bit too sparing.

06-30-2002, 03:44 AM
I use an mf applicator pad but, I don`t put a dime size spot in the middle of the pad. I fill a 3 ounce spray bottle with SG and mist the pad. I start out at about 3 sprays on the pad per panel. After the pad becomes more damp then 2 sprays will do. I continually shake the bottle before each use.

Now maybe just my belief but I feel that this method covers better and applies more even.

BTW: I do the same for AIO

Note: by using the small spary bottles it is easy to determine how much product you are using and just stick the bottle in your pocket between sprays. By being able to put the bottle in your pocket you are not having to find a place to sit down the large container. You can purchase these small spray bottles a Walmart.

It works for me

Good Luck

07-07-2002, 11:53 PM
I follow the directions on the Klasse SG bottle, which is to use a dry applicator. The instructions on the Klasse AIO bottle says to use a damp applicator, so there has to be some reason they specifically said to use a dry applicator for SG.

Anyways, after I read about how water can affect the cross-linking, I apply Klasse with a dry SG. If water might have an effect on the cross-linking, I wouldn`t want to use an applicator dampened with a quick detailer either.